What to do:
Duplicate the listing underneath exactly, please.

Input:
-- begin --
Below is crystalline HoInAg2 at its relaxed geometry, with properties calculated at the PBE level.

Cell lengths 4.944, 4.944, 4.944 Å; angles 60.00, 60.00, 60.00 degrees
Atoms (fractional coordinates):
Ho1 0.000 0.000 0.000
In1 0.500 0.500 0.500
Ag1 0.250 0.250 0.250
Ag2 0.750 0.750 0.750

Summary:
Its raw total energy is -14.46 eV/cell.


Below is crystalline Li3PS4 at its relaxed geometry, with properties calculated at the PBE level.

Cell lengths 13.184, 8.132, 6.213 Å; angles 90.00, 90.00, 90.00 degrees
Atoms (fractional coordinates):
Li1 0.000 0.000 0.000
Li2 0.000 0.500 0.000
Li3 0.168 0.032 0.389
Li4 0.168 0.468 0.389
Li5 0.332 0.532 0.889
Li6 0.332 0.968 0.889
Li7 0.500 0.000 0.500
Li8 0.500 0.500 0.500
Li9 0.668 0.032 0.111
Li10 0.668 0.468 0.111
Li11 0.832 0.532 0.611
Li12 0.832 0.968 0.611
P1 0.089 0.750 0.654
P2 0.411 0.250 0.154
P3 0.589 0.750 0.846
P4 0.911 0.250 0.346
S1 0.059 0.250 0.227
S2 0.101 0.750 0.326
S3 0.152 0.538 0.773
S4 0.152 0.962 0.773
S5 0.348 0.038 0.273
S6 0.348 0.462 0.273
S7 0.399 0.250 0.826
S8 0.441 0.750 0.727
S9 0.559 0.250 0.273
S10 0.601 0.750 0.174
S11 0.652 0.538 0.727
S12 0.652 0.962 0.727
S13 0.848 0.038 0.227
S14 0.848 0.462 0.227
S15 0.899 0.250 0.674
S16 0.941 0.750 0.773

Summary:
Its raw total energy is -140.54 eV/cell.


Below is crystalline Na3In2Ga2P3S3O24 at its relaxed geometry, with properties calculated at the PBE level.

Cell lengths 8.760, 8.764, 22.693 Å; angles 89.92, 88.68, 60.04 degrees
Atoms (fractional coordinates):
Na1 0.000 0.000 0.000
Na2 0.001 0.717 0.501
Na3 0.332 0.327 0.666
Na4 0.343 0.684 0.420
Na5 0.346 0.686 0.915
Na6 0.655 0.031 0.083
Na7 0.665 0.024 0.585
Na8 0.980 0.358 0.750
Na9 0.998 0.358 0.251
In1 0.001 0.345 0.099
In2 0.318 0.697 0.271
In3 0.338 0.691 0.067
In4 0.677 0.019 0.234
In5 0.995 0.367 0.404
In6 0.997 0.350 0.897
Ga1 0.323 0.693 0.766
Ga2 0.346 0.671 0.570
Ga3 0.656 0.021 0.438
Ga4 0.662 0.032 0.932
Ga5 0.690 0.020 0.732
Ga6 0.983 0.379 0.601
P1 0.035 0.990 0.166
P2 0.041 0.692 0.666
P3 0.298 0.353 0.504
P4 0.307 0.060 0.997
P5 0.625 0.401 0.670
P6 0.694 0.657 0.504
P7 0.697 0.354 0.998
P8 0.954 0.734 0.339
P9 0.961 0.014 0.833
S1 0.000 0.064 0.503
S2 0.331 0.392 0.168
S3 0.331 0.980 0.668
S4 0.374 0.024 0.336
S5 0.381 0.315 0.831
S6 0.630 0.690 0.169
S7 0.660 0.742 0.832
S8 0.665 0.316 0.337
S9 0.993 0.656 0.999
O1 0.017 0.174 0.166
O2 0.024 0.546 0.946
O3 0.028 0.521 0.660
O4 0.032 0.134 0.448
O5 0.114 0.887 0.108
O6 0.123 0.724 0.609
O7 0.138 0.719 0.337
O8 0.145 0.902 0.221
O9 0.146 0.844 0.825
O10 0.149 0.680 0.003
O11 0.155 0.884 0.510
O12 0.162 0.652 0.720
O13 0.167 0.382 0.164
O14 0.173 0.160 0.663
O15 0.180 0.398 0.450
O16 0.184 0.142 0.945
O17 0.194 0.178 0.341
O18 0.201 0.338 0.836
O19 0.212 0.322 0.561
O20 0.235 0.169 0.055
O21 0.302 0.902 0.722
O22 0.310 0.494 0.223
O23 0.312 0.524 0.512
O24 0.316 0.879 0.003
O25 0.361 0.469 0.115
O26 0.361 0.870 0.615
O27 0.366 0.492 0.826
O28 0.366 0.859 0.334
O29 0.449 0.051 0.281
O30 0.462 0.205 0.777
O31 0.479 0.007 0.389
O32 0.483 0.189 0.494
O33 0.483 0.234 0.885
O34 0.487 0.212 0.172
O35 0.489 0.004 0.673
O36 0.493 0.036 0.988
O37 0.501 0.722 0.827
O38 0.506 0.475 0.615
O39 0.506 0.495 0.334
O40 0.508 0.683 0.515
O41 0.511 0.512 0.005
O42 0.531 0.710 0.115
O43 0.538 0.520 0.725
O44 0.549 0.663 0.223
O45 0.635 0.847 0.886
O46 0.637 0.216 0.677
O47 0.639 0.229 0.390
O48 0.640 0.853 0.172
O49 0.684 0.826 0.778
O50 0.687 0.221 0.281
O51 0.687 0.839 0.496
O52 0.691 0.180 0.990
O53 0.763 0.546 0.447
O54 0.776 0.394 0.944
O55 0.810 0.534 0.164
O56 0.811 0.378 0.659
O57 0.812 0.315 0.053
O58 0.822 0.565 0.835
O59 0.823 0.573 0.555
O60 0.827 0.329 0.341
O61 0.835 0.834 0.994
O62 0.840 0.044 0.498
O63 0.844 0.045 0.779
O64 0.850 0.008 0.169
O65 0.852 0.811 0.282
O66 0.854 0.855 0.674
O67 0.862 0.846 0.395
O68 0.878 0.989 0.891
O69 0.965 0.579 0.054
O70 0.970 0.179 0.555
O71 0.976 0.547 0.340
O72 0.981 0.179 0.835

Summary:
Its raw total energy is -690.87 eV/cell.
-- stop --

Worked solution:
Below is crystalline HoInAg2 at its relaxed geometry, with properties calculated at the PBE level.

Cell lengths 4.944, 4.944, 4.944 Å; angles 60.00, 60.00, 60.00 degrees
Atoms (fractional coordinates):
Ho1 0.000 0.000 0.000
In1 0.500 0.500 0.500
Ag1 0.250 0.250 0.250
Ag2 0.750 0.750 0.750

Summary:
Its raw total energy is -14.46 eV/cell.


Below is crystalline Li3PS4 at its relaxed geometry, with properties calculated at the PBE level.

Cell lengths 13.184, 8.132, 6.213 Å; angles 90.00, 90.00, 90.00 degrees
Atoms (fractional coordinates):
Li1 0.000 0.000 0.000
Li2 0.000 0.500 0.000
Li3 0.168 0.032 0.389
Li4 0.168 0.468 0.389
Li5 0.332 0.532 0.889
Li6 0.332 0.968 0.889
Li7 0.500 0.000 0.500
Li8 0.500 0.500 0.500
Li9 0.668 0.032 0.111
Li10 0.668 0.468 0.111
Li11 0.832 0.532 0.611
Li12 0.832 0.968 0.611
P1 0.089 0.750 0.654
P2 0.411 0.250 0.154
P3 0.589 0.750 0.846
P4 0.911 0.250 0.346
S1 0.059 0.250 0.227
S2 0.101 0.750 0.326
S3 0.152 0.538 0.773
S4 0.152 0.962 0.773
S5 0.348 0.038 0.273
S6 0.348 0.462 0.273
S7 0.399 0.250 0.826
S8 0.441 0.750 0.727
S9 0.559 0.250 0.273
S10 0.601 0.750 0.174
S11 0.652 0.538 0.727
S12 0.652 0.962 0.727
S13 0.848 0.038 0.227
S14 0.848 0.462 0.227
S15 0.899 0.250 0.674
S16 0.941 0.750 0.773

Summary:
Its raw total energy is -140.54 eV/cell.


Below is crystalline Na3In2Ga2P3S3O24 at its relaxed geometry, with properties calculated at the PBE level.

Cell lengths 8.760, 8.764, 22.693 Å; angles 89.92, 88.68, 60.04 degrees
Atoms (fractional coordinates):
Na1 0.000 0.000 0.000
Na2 0.001 0.717 0.501
Na3 0.332 0.327 0.666
Na4 0.343 0.684 0.420
Na5 0.346 0.686 0.915
Na6 0.655 0.031 0.083
Na7 0.665 0.024 0.585
Na8 0.980 0.358 0.750
Na9 0.998 0.358 0.251
In1 0.001 0.345 0.099
In2 0.318 0.697 0.271
In3 0.338 0.691 0.067
In4 0.677 0.019 0.234
In5 0.995 0.367 0.404
In6 0.997 0.350 0.897
Ga1 0.323 0.693 0.766
Ga2 0.346 0.671 0.570
Ga3 0.656 0.021 0.438
Ga4 0.662 0.032 0.932
Ga5 0.690 0.020 0.732
Ga6 0.983 0.379 0.601
P1 0.035 0.990 0.166
P2 0.041 0.692 0.666
P3 0.298 0.353 0.504
P4 0.307 0.060 0.997
P5 0.625 0.401 0.670
P6 0.694 0.657 0.504
P7 0.697 0.354 0.998
P8 0.954 0.734 0.339
P9 0.961 0.014 0.833
S1 0.000 0.064 0.503
S2 0.331 0.392 0.168
S3 0.331 0.980 0.668
S4 0.374 0.024 0.336
S5 0.381 0.315 0.831
S6 0.630 0.690 0.169
S7 0.660 0.742 0.832
S8 0.665 0.316 0.337
S9 0.993 0.656 0.999
O1 0.017 0.174 0.166
O2 0.024 0.546 0.946
O3 0.028 0.521 0.660
O4 0.032 0.134 0.448
O5 0.114 0.887 0.108
O6 0.123 0.724 0.609
O7 0.138 0.719 0.337
O8 0.145 0.902 0.221
O9 0.146 0.844 0.825
O10 0.149 0.680 0.003
O11 0.155 0.884 0.510
O12 0.162 0.652 0.720
O13 0.167 0.382 0.164
O14 0.173 0.160 0.663
O15 0.180 0.398 0.450
O16 0.184 0.142 0.945
O17 0.194 0.178 0.341
O18 0.201 0.338 0.836
O19 0.212 0.322 0.561
O20 0.235 0.169 0.055
O21 0.302 0.902 0.722
O22 0.310 0.494 0.223
O23 0.312 0.524 0.512
O24 0.316 0.879 0.003
O25 0.361 0.469 0.115
O26 0.361 0.870 0.615
O27 0.366 0.492 0.826
O28 0.366 0.859 0.334
O29 0.449 0.051 0.281
O30 0.462 0.205 0.777
O31 0.479 0.007 0.389
O32 0.483 0.189 0.494
O33 0.483 0.234 0.885
O34 0.487 0.212 0.172
O35 0.489 0.004 0.673
O36 0.493 0.036 0.988
O37 0.501 0.722 0.827
O38 0.506 0.475 0.615
O39 0.506 0.495 0.334
O40 0.508 0.683 0.515
O41 0.511 0.512 0.005
O42 0.531 0.710 0.115
O43 0.538 0.520 0.725
O44 0.549 0.663 0.223
O45 0.635 0.847 0.886
O46 0.637 0.216 0.677
O47 0.639 0.229 0.390
O48 0.640 0.853 0.172
O49 0.684 0.826 0.778
O50 0.687 0.221 0.281
O51 0.687 0.839 0.496
O52 0.691 0.180 0.990
O53 0.763 0.546 0.447
O54 0.776 0.394 0.944
O55 0.810 0.534 0.164
O56 0.811 0.378 0.659
O57 0.812 0.315 0.053
O58 0.822 0.565 0.835
O59 0.823 0.573 0.555
O60 0.827 0.329 0.341
O61 0.835 0.834 0.994
O62 0.840 0.044 0.498
O63 0.844 0.045 0.779
O64 0.850 0.008 0.169
O65 0.852 0.811 0.282
O66 0.854 0.855 0.674
O67 0.862 0.846 0.395
O68 0.878 0.989 0.891
O69 0.965 0.579 0.054
O70 0.970 0.179 0.555
O71 0.976 0.547 0.340
O72 0.981 0.179 0.835

Summary:
Its raw total energy is -690.87 eV/cell.